Politics……. I have often wondered if I should get involved in that world but then I realise it’s not for me. The way I see it, despite the best of intentions, it seems that, in the end, the system swallows you up and you never do achieve your original plans and aspirations.

********
No. 1
Computed, not measured: an optimized crystal structure of LaPr5Hg4 at the PBE-GGA level of DFT.

The structure in CIF format:
```
data_LaPr5Hg4
_symmetry_space_group_name_H-M 'P 4/m m m'
_symmetry_Int_Tables_number 123
_symmetry_space_group_name_Hall '-P 4 2'
_cell_length_a 3.852
_cell_length_b 3.852
_cell_length_c 20.476
_cell_angle_alpha 90.00
_cell_angle_beta 90.00
_cell_angle_gamma 90.00
loop_
_atom_site_label
_atom_site_type_symbol
_atom_site_fract_x
_atom_site_fract_y
_atom_site_fract_z
La1 La 0.000 0.000 0.000
Pr1 Pr 0.500 0.500 0.122
Pr2 Pr 0.500 0.500 0.311
Pr3 Pr 0.500 0.500 0.500
Hg1 Hg 0.000 0.000 0.214
Hg2 Hg 0.000 0.000 0.405
```

No. 2
Computed, not measured: an optimized crystal structure of La2Pr2Hg3 at the PBE-GGA level of DFT.

The structure in CIF format:
```
data_La2Pr2Hg3
_symmetry_space_group_name_H-M 'C 1 2/m 1'
_symmetry_Int_Tables_number 12
_symmetry_space_group_name_Hall '-C 2y'
_cell_length_a 9.388
_cell_length_b 5.429
_cell_length_c 9.291
_cell_angle_alpha 90.00
_cell_angle_beta 109.54
_cell_angle_gamma 90.00
loop_
_atom_site_label
_atom_site_type_symbol
_atom_site_fract_x
_atom_site_fract_y
_atom_site_fract_z
La1 La 0.128 0.000 0.385
Pr1 Pr 0.121 0.500 0.863
Hg1 Hg 0.000 0.000 0.000
Hg2 Hg 0.248 0.500 0.244
```

No. 3
Computed, not measured: an optimized crystal structure of La5PrHg4 at the PBE-GGA level of DFT.

The structure in CIF format:
```
data_La5PrHg4
_symmetry_space_group_name_H-M 'P 4/m m m'
_symmetry_Int_Tables_number 123
_symmetry_space_group_name_Hall '-P 4 2'
_cell_length_a 3.881
_cell_length_b 3.881
_cell_length_c 20.790
_cell_angle_alpha 90.00
_cell_angle_beta 90.00
_cell_angle_gamma 90.00
loop_
_atom_site_label
_atom_site_type_symbol
_atom_site_fract_x
_atom_site_fract_y
_atom_site_fract_z
La1 La 0.000 0.000 0.000
La2 La 0.000 0.000 0.189
La3 La 0.000 0.000 0.379
Pr1 Pr 0.500 0.500 0.500
Hg1 Hg 0.500 0.500 0.094
Hg2 Hg 0.500 0.500 0.287
```

No. 4
Computed, not measured: an optimized crystal structure of La3Pr2Hg4 at the PBE-GGA level of DFT.

Summary:
As for the relative energy among the computed polymorphs: 84 meV per atom.

The structure in CIF format:
```
data_La3Pr2Hg4
_symmetry_space_group_name_H-M 'C m c e'
_symmetry_Int_Tables_number 64
_symmetry_space_group_name_Hall '-C 2ac 2'
_cell_length_a 7.169
_cell_length_b 18.915
_cell_length_c 8.483
_cell_angle_alpha 90.00
_cell_angle_beta 90.00
_cell_angle_gamma 90.00
loop_
_atom_site_label
_atom_site_type_symbol
_atom_site_fract_x
_atom_site_fract_y
_atom_site_fract_z
La1 La 0.000 0.000 0.000
La2 La 0.250 0.242 0.250
Pr1 Pr 0.000 0.093 0.581
Hg1 Hg 0.000 0.163 0.973
Hg2 Hg 0.250 0.070 0.250
```

No. 5
Computed, not measured: an optimized crystal structure of La4PrHg2 at the PBE-GGA level of DFT.

Summary:
As for the relative energy among the computed polymorphs: 108 meV per atom.

The structure in CIF format:
```
data_La4PrHg2
_symmetry_space_group_name_H-M 'I -4 2 d'
_symmetry_Int_Tables_number 122
_symmetry_space_group_name_Hall 'I -4 2bw'
********
The piece goes on

I have watched Western politics over the past few years with complete puzzlement and my only conclusion is that the so-called African dictators must be laughing their heads off at the moment. Finally Western politicians are following what they themselves have been accused of for years, corruption, changes of laws to suit themselves and refusing to leave office.

My question is: what is going on? It’s hard to believe the state of our politics at the moment.

Don’t get me wrong, the political situation back home in Zimbabwe is far from ideal and there are things that happen which are questionable; but for years the world has considered UK and American politics to have much higher standards.

It’s still hard to believe that the Donald Trump era really happened and the present UK government is adamant that the current crisis we are in will pass and people will simply forgive and forget. Well I suppose time will tell.

I do enjoy a good political discussion and BBC’s Question Time on a Thursday night is a weekly highlight, giving us an opportunity to listen to different people’s views

Listening to people explain why they have voted for Trump or our current government for example, the motivation they all have in common is the need for change and the frustration with empty promises made by politicians in the period leading up to elections.

However, the post-election period never seems to reflect these promises and, to many, the system feels broken; not just here but the world over with no obvious solution. What seems to be lacking is a base of politicians with relevant life experience who are therefore driven to institute real change.

I remember feeling excited as a 19-year-old getting my voting card for the first time and no, it wasn’t in Zimbabwe, but right here in the UK. At that time, it was the end of an era for the Tories and the beginning of the New Labour Party with an enthusiastic young leader - Tony Blair. That was when my interest in politics really heightened.

There was no doubt that people wanted change and Blair sounded energetic and passionate. Listening to his campaign song, Things Can Only Get Better, I was enthused by him, happy to listen to him talk as he didn’t seem to mince his words. He was straight to the point and always spoke in a direct and forceful manner.

So, setting off with my card to the ballot box, I joined many others in putting my X in his box and Labour went on to win the election. Sadly, however, my admiration and support for Tony Blair vanished quickly with his decisions over the Iraq war which led to protests in the British streets proclaiming how wrong the war was. It's only now that we are finding out the real reason behind that war and why Iraq is in such a mess.

## Someone pasted calculated crystals at this point
........
Entry 1:
The following is a DFT calculation (GGA-PBE) of Na5Tl3Cd3 after structural relaxation.

Properties
Calculated volume in A^3/atom: 29.64
DFT total energy in eV per atom: -1.500
D(E_F) in states/eV per atom: 0.414
Symmetry: P-62m

The structure in CIF format:
```
data_Na5Tl3Cd3
_chemical_formula_sum 'Na5 Tl3 Cd3'
_cell_length_a 10.7950
_cell_length_b 10.7950
_cell_length_c 3.2309
_cell_angle_alpha 90.00
_cell_angle_beta 90.00
_cell_angle_gamma 120.00
_symmetry_space_group_name_H-M 'P 1'
_symmetry_Int_Tables_number 1
loop_
_symmetry_equiv_pos_as_xyz
'x,y,z'
loop_
_atom_site_label
_atom_site_type_symbol
_atom_site_fract_x
_atom_site_fract_y
_atom_site_fract_z
Na1 Na 0.0000 0.6661 0.0000
Na2 Na 0.3333 0.6667 0.0000
Na3 Na 0.3339 0.3339 0.0000
Na4 Na 0.6661 0.0000 0.0000
Na5 Na 0.6667 0.3333 0.0000
Tl1 Tl 0.0000 0.4033 0.5000
Tl2 Tl 0.4033 0.0000 0.5000
Tl3 Tl 0.5967 0.5967 0.5000
Cd1 Cd 0.0000 0.1572 0.0000
Cd2 Cd 0.1572 0.0000 0.0000
Cd3 Cd 0.8428 0.8428 0.0000
```



Entry 2:
The following is a DFT calculation (GGA-PBE) of Ce6Sn2SbTe3 after structural relaxation.

Properties
Calculated volume in A^3/atom: 32.38
DFT total energy in eV per atom: -5.813
D(E_F) in states/eV per atom: 3.477
Symmetry: C2/m

The structure in CIF format:
```
data_Ce6Sn2SbTe3
_chemical_formula_sum 'Ce6 Sn2 Sb1 Te3'
_cell_length_a 10.0516
_cell_length_b 10.0516
_cell_length_c 8.9743
_cell_angle_alpha 102.16
_cell_angle_beta 102.16
_cell_angle_gamma 26.03
_symmetry_space_group_name_H-M 'P 1'
_symmetry_Int_Tables_number 1
loop_
_symmetry_equiv_pos_as_xyz
'x,y,z'
loop_
_atom_site_label
_atom_site_type_symbol
_atom_site_fract_x
_atom_site_fract_y
_atom_site_fract_z
Ce1 Ce 0.0013 0.0013 0.2477
Ce2 Ce 0.3323 0.3323 0.4195
Ce3 Ce 0.3343 0.3343 0.9143
Ce4 Ce 0.6657 0.6657 0.0857
Ce5 Ce 0.6677 0.6677 0.5805
Ce6 Ce 0.9987 0.9987 0.7523
Sn1 Sn 0.1666 0.1666 0.3326
Sn2 Sn 0.8334 0.8334 0.6674
Sb1 Sb 0.5000 0.5000 0.0000
Te1 Te 0.1663 0.1663 0.8330
Te2 Te 0.5000 0.5000 0.5000
Te3 Te 0.8337 0.8337 0.1670
```
........
## The calculated crystals stop here

More information is also now available on how his government dealt with the so-called white farm inversions in Zimbabwe.

== Inserted here: records of crystals ==
********
No. 1
Crystalline LiHfTe3Au at its relaxed geometry. Source: OQMD, functional PBE.

Computed properties:
**Energy**: -4.712 eV/atom
**Energy above the most stable polymorph in this dataset**: 33 meV/atom
**Theoretical density**: 7.8 g/cm³

Cell lengths 4.027, 14.822, 10.877 Å; angles 90.00, 90.00, 90.00 degrees
Space group Cmcm (No. 63)
Unique sites:
Li 0.000 0.166 0.250 (multiplicity 4)
Hf 0.000 0.000 0.000 (multiplicity 4)
Te 0.000 0.092 0.750 (multiplicity 4)
Te 0.000 0.360 0.544 (multiplicity 8)
Au 0.000 0.465 0.750 (multiplicity 4)

=====

No. 2
Crystalline Lu2Hf4Au3N3 at its relaxed geometry. Source: OQMD, functional PBE.

Computed properties:
**Energy**: -8.126 eV/atom
**Theoretical density**: 14.2 g/cm³

Cell lengths 9.883, 5.712, 14.454 Å; angles 90.00, 103.36, 90.00 degrees
Space group C2/c (No. 15)
Unique sites:
Lu 0.045 0.083 0.389 (multiplicity 8)
Hf 0.110 0.410 0.583 (multiplicity 8)
Hf 0.226 0.419 0.917 (multiplicity 8)
Au 0.000 0.490 0.750 (multiplicity 4)
Au 0.212 0.126 0.751 (multiplicity 8)
N 0.084 0.251 0.000 (multiplicity 8)
N 0.250 0.250 0.500 (multiplicity 4)

=====

No. 3
Crystalline Lu4Hf2Au3N3 at its relaxed geometry. Source: OQMD, functional PBE.

Computed properties:
**Energy**: -7.217 eV/atom
**Theoretical density**: 13.5 g/cm³

Cell lengths 10.130, 5.860, 14.427 Å; angles 90.00, 103.60, 90.00 degrees
Space group C2/c (No. 15)
Unique sites:
Lu 0.117 0.079 0.100 (multiplicity 8)
Lu 0.214 0.087 0.400 (multiplicity 8)
Hf 0.059 0.413 0.918 (multiplicity 8)
Au 0.000 0.120 0.750 (multiplicity 4)
Au 0.148 0.437 0.249 (multiplicity 8)
N 0.079 0.263 0.500 (multiplicity 8)
N 0.250 0.250 0.000 (multiplicity 4)

=====

No. 4
Crystalline Hf2MoAu4 at its relaxed geometry. Source: OQMD, functional PBE.

Computed properties:
**DFT formation energy**: -1.5 eV/f.u.
**Energy**: -6.478 eV/atom
********

I felt so much shame when hearing reporters constantly speaking about how the Zimbabwe government was persecuting white farmers; but I heard no reports whatsoever about the fact that Clare Short, who was the International Development Secretary in Blair’s government, decided that Britain no longer had a responsibility to meet the cost of land purchases in Zimbabwe – going completely against the commitment made during the 1979 Lancaster House talks in which Britain committed to funding the Land Redistribution Programme.

So over the years I have voted for different parties and as the next election looms I am in even more of a dilemma as to who I should vote for.

I listen to as many different points of view as possible and I am sure I am not alone in questioning what politics is really about nowadays.

After so many battles in the past which have given us the right to vote I will always use it.

But I have to question how long the politicians can keep making these empty promises.

In order to keep the population interested in politics and willing to support whichever government, they have to find a way to restore our confidence and our belief that honesty and fairness will play a part in their decision-making.